Page 37 of Devil’s Escape
The notebook both gave me a sense of relief, to have those thoughts off my chest, but it sent a new wave of fear through me at the thought of someone reading it. It was one thing to relay events but my innermost thoughts and feelings were another thing entirely. The cash was another story—I wanted to give it back to Francine, to both thank her for her generosity and scold her for her meddling. But I knew I couldn’t, not when Tommaso and his men would be looking for me. There was no way I could show my face in East Haven right now and expect to not be picked up straight away. But also that small crack screamed at me to keep it for now, just in case the guys weren’t the same as I’d remembered and I again needed a way out …
**Here the piece breaks off for calculated crystals:**
'''
(1)
DFT (PBE) results for an optimized crystal structure of SrMgPbBr6.

As for the formation energy without anion corrections: -1.47 eV per atom. The density of states at the Fermi level comes out at 0.000 states/eV/atom. As for the space group: P-31c (163). The calculation puts the magnetic moment at 0.000 μB per atom.

The structure in CIF format:
```
data_SrMgPbBr6
_space_group_name_H-M_alt 'P 1'
_space_group_IT_number 1
_cell_length_a 7.413
_cell_length_b 7.413
_cell_length_c 12.955
_cell_angle_alpha 90.00
_cell_angle_beta 90.00
_cell_angle_gamma 120.00
loop_
_space_group_symop_operation_xyz
'x,y,z'
loop_
_atom_site_label
_atom_site_type_symbol
_atom_site_fract_x
_atom_site_fract_y
_atom_site_fract_z
_atom_site_occupancy
Sr1 Sr 0.333 0.667 0.250 1
Sr2 Sr 0.667 0.333 0.750 1
Mg1 Mg 0.333 0.667 0.750 1
Mg2 Mg 0.667 0.333 0.250 1
Pb1 Pb 0.000 0.000 0.000 1
Pb2 Pb 0.000 0.000 0.500 1
Br1 Br 0.036 0.367 0.628 1
Br2 Br 0.036 0.668 0.872 1
Br3 Br 0.332 0.367 0.872 1
Br4 Br 0.332 0.964 0.628 1
Br5 Br 0.367 0.036 0.128 1
Br6 Br 0.367 0.332 0.372 1
Br7 Br 0.633 0.668 0.628 1
Br8 Br 0.633 0.964 0.872 1
Br9 Br 0.668 0.036 0.372 1
Br10 Br 0.668 0.633 0.128 1
Br11 Br 0.964 0.332 0.128 1
Br12 Br 0.964 0.633 0.372 1
```

(2)
DFT (PBE) results for an optimized crystal structure of LiV2Rh4.

The density of states at the Fermi level comes out at 0.814 states/eV/atom. As for the space group: Cmce (64). Its energy relative to the elements is 0.002 eV per atom. The calculation puts the magnetic moment at 0.000 μB per atom.

The structure in CIF format:
```
data_LiV2Rh4
_space_group_name_H-M_alt 'P 1'
_space_group_IT_number 1
_cell_length_a 5.964
_cell_length_b 5.964
_cell_length_c 7.105
_cell_angle_alpha 90.00
_cell_angle_beta 90.00
_cell_angle_gamma 55.37
loop_
_space_group_symop_operation_xyz
'x,y,z'
loop_
_atom_site_label
_atom_site_type_symbol
_atom_site_fract_x
_atom_site_fract_y
_atom_site_fract_z
_atom_site_occupancy
Li1 Li 0.000 0.000 0.000 1
Li2 Li 0.500 0.500 0.500 1
V1 V 0.139 0.139 0.500 1
V2 V 0.361 0.361 0.000 1
V3 V 0.639 0.639 0.000 1
V4 V 0.861 0.861 0.500 1
Rh1 Rh 0.017 0.483 0.750 1
Rh2 Rh 0.213 0.787 0.728 1
Rh3 Rh 0.287 0.713 0.228 1
Rh4 Rh 0.483 0.017 0.250 1
Rh5 Rh 0.517 0.983 0.750 1
Rh6 Rh 0.713 0.287 0.772 1
Rh7 Rh 0.787 0.213 0.272 1
Rh8 Rh 0.983 0.517 0.250 1
```

(3)
DFT (PBE) results for an optimized crystal structure of HfCuPd5.

The energy above the most stable polymorph in this dataset comes out at 0.154 eV/atom. The density of states at the Fermi level comes out at 0.405 states/eV/atom. As for the space group: Imma (74). Its energy relative to the elements is -0.271 eV per atom. The calculation puts the magnetic moment at 0.000 μB per atom.

The structure in CIF format:
```
data_HfCuPd5
_space_group_name_H-M_alt 'P 1'
_space_group_IT_number 1
_cell_length_a 7.283
_cell_length_b 7.283
_cell_length_c 7.283
_cell_angle_alpha 118.93
_cell_angle_beta 80.25
_cell_angle_gamma 133.29
loop_
_space_group_symop_operation_xyz
'x,y,z'
loop_
'''
I forced myself to reach for a pair of socks in the drawer and pull them onto my bare feet, only then registering how cold my toes had gotten, and pulled on the new pair of running shoes, the tag still hanging from the laces. They must’ve gone to get them for me because the guys’ shoes would’ve looked like clown shoes on me, and these fit perfectly. My pulse thundered in my ears at the step no matter how small it may seem, of distancing myself from these two items, but I knew I had to. I needed to build that trust back up, brick by brick, and this was the only way. So I put one foot in front of the other, pulling open the door to the empty hallway.
Thewarmsummerbreezeflowed through the foyer, ruffling my hair lightly as I opened the front door. I’d searched the entire main floor and came up empty, my footsteps were light on the squeaking hardwood floor as I explored through the dining room and into the kitchen. It looked as though it had been remodeled recently, and while most of the original finishes remained, the cabinets were a bright white and the appliances in stainless steel, a stark contrast to the wood tones throughout the house. It was almost like they’d just hired someone to do what was necessary without really putting much of themselves into it.
But they got the furniture from the firehouse and now in the daylight the rest of the wooden furniture looked similar too. The dining room table, chairs, and the desk in the office had all been there. We’d kept most of it covered but I could place it all now. My heart panged at the nostalgic touch, an homage to our old hideout … and perhaps this house would become the same now, our escape from the world, where we could just sit back and be us.
So I took a step out onto the porch and closed the red door behind me, breathing in the fresh summer air. It was so clean compared to the city, so vibrant and full of life. There the sun beat off the asphalt, the fumes clinging to your nostrils … along with other things. Before, I’d wanted to escape the small town I was in for the city so badly—and just the thought of returning had sent bile rising in my throat—I never realized how much I missed it. It was easy to get lost in the bustle of people rushing past. I was able to forget my own troubles, my thoughts drowned out by the blaring horns and constant hum of people chattering. But with some of that tension slipping off my chest already, I was able to finally appreciate the quiet calm that came with a small town.
I glanced over at the garage, sure that I’d find Merrick there, and headed off in that direction. Thankfully there wasn’t anyone else around to witness me standing back and inhaling the floral breeze that trickled past like I’d never breathed before. The entire house was abandoned from the looks of it. But if I knew Kellan and Merrick, there was no way that one of them wasn’t here to look after me. The gravel crunched under my running shoes as I strode to the separate building. But as I neared, I noticed a glass door around the side, with large paned windows surrounding it. I almost continued, but pulled up short, nearly tripping over my own feet as a movement through the door caught my eye.
So I changed direction, heading around the side rather than to the red steel door in between the wide garage ones. Because the glass panes, reaching nearly to the top of the building, reminded me of somewhere else, somewhere the windows line the entire shop, the beaming sun illuminating even the darkest corner of the tattoo parlor.
I reached for the door tentatively, grasping the cool metal handle, shaded by the position of the sun against the towering Victorian house. I pushed aside any lingering worries and pulled the door open, the cool air from inside hitting me in the face as it rushed out. Kellan spun on his heel at the electronic chime that clanged through the silent shop.
His eyes widened as he scanned my form, and a shiver of desire slithered up my spine at his attention, at the concern creasing his brow. I took another step forward and let the door close behind me, the movement breaking the trance that had fallen over Kellan.
“Is everything alright?” he asked hesitantly, inching forward, his arm barely lifted as though he wanted to reach for me but he hesitated.
His concern for me warmed my chest, but at the same time, I didn’t want to be coddled, didn’t want to be seen as breakable. This was not what I had wanted when I told them my story. My goal had been to tell them the whole truth so nothing laid between us, not for them to see my past, my trauma, before they saw the real me.
“Of course, everything is,” I scoffed, downplaying my change in routine. Turning to look at the wall, black and white sketches and watercolor work displayed in frames. This art seemed more personal than what was in his shop in East Haven. It was just as beautiful of course, but that was more commercial, examples that people could have tattooed on them, art that showcased his talent at tattooing. This though, the detailed lines and vibrant colors were straight from his soul. Just as I had poured the essence of myself into that notebook, I could tell he’d done the same with his art.
Crystal structures, kept here for reference =
[1]
The following is a PBE calculation of InAgOsSe3 after structural relaxation, from OQMD.

Cell: 7.861 7.861 9.817 Å, 90.00 90.00 27.82°
Positions (direct):
Ag (0.313, 0.313, 0.250)
Ag (0.687, 0.687, 0.750)
In (0.673, 0.673, 0.250)
In (0.327, 0.327, 0.750)
Os (0.000, 0.000, 0.000)
Os (0.000, 0.000, 0.500)
Se (0.392, 0.392, 0.022)
Se (0.040, 0.040, 0.250)
Se (0.392, 0.392, 0.478)
Se (0.608, 0.608, 0.522)
Se (0.960, 0.960, 0.750)
Se (0.608, 0.608, 0.978)

Values from the calculation:
- raw total energy (eV/cell) = -55.2

[2]
The following is a PBE calculation of InAg3OsSe4 after structural relaxation, from OQMD.

Cell: 6.320 6.320 6.320 Å, 90.00 90.00 90.00°
Positions (direct):
Ag (0.500, 0.500, 0.000)
Ag (0.500, 0.000, 0.500)
Ag (0.000, 0.500, 0.500)
In (0.000, 0.000, 0.000)
Os (0.500, 0.500, 0.500)
Se (0.277, 0.277, 0.277)
Se (0.723, 0.723, 0.277)
Se (0.723, 0.277, 0.723)
Se (0.277, 0.723, 0.723)

Values from the calculation:
- raw total energy (eV/cell) = -35.3

[3]
The following is a PBE calculation of InAg2P2 after structural relaxation, from OQMD.

Cell: 6.065 6.065 11.550 Å, 90.00 90.00 149.07°
Positions (direct):
Ag (0.500, 0.500, 0.000)
Ag (0.275, 0.725, 0.250)
Ag (0.500, 0.500, 0.500)
Ag (0.725, 0.275, 0.750)
In (0.023, 0.977, 0.250)
In (0.977, 0.023, 0.750)
P (0.297, 0.703, 0.043)
P (0.297, 0.703, 0.457)
P (0.703, 0.297, 0.543)
P (0.703, 0.297, 0.957)

Values from the calculation:
- raw total energy (eV/cell) = -37.9

----------

The following is a PBE with a Hubbard U calculation of crystalline Mg2InMoO6 at its relaxed geometry, from Alexandria.

POSCAR file:
```
Mg2InMoO6
1.0
-3.173 -4.227 -0.177
1.838 -4.736 -1.698
0.812 -4.086 3.839
O Mg Mo In
6 2 1 1
Cartesian
-1.370 -6.733 2.601 O
0.637 -8.172 1.638 O
-1.746 -7.728 -0.206 O
1.186 -6.358 -0.701 O
-1.303 -4.585 0.479 O
0.956 -5.544 2.191 O
-0.321 -6.436 0.682 Mg
0.733 -4.063 3.551 Mg
-0.358 -3.033 -0.406 Mo
-0.571 -9.621 0.686 In
```

**Uncorrected energy**: -6.32 eV/atom
**Density**: 5.09 g/cm³
**Magnetic moment**: 1.000 μB per cell
**Symmetry**: P1 (1)
“You’ve been through a lot, Giana,” he soothed, stepping beside me, a hand tentatively brushing over my shoulder. I gritted my teeth at the light touch, the uncertainty in it. I was not breakable, I would not—could not allow what happened to destroy the person I was, the woman I could be.
“Stop,” I barked, jumping away from him.
He needed to hear this; they all did if they were going to treat me like some broken doll rather than the bloodthirsty woman I was.
“You don’t think I know that?” I asked incredulously. His hand slowly dropped to his side, his lips parting, but I cut him off. “I know what I went through. I’m done barely living because of that man.”
“Giana,” he murmured, as though he was trying to calm a wild animal. I took a deep breath, attempting to calm myself. But as he took a step forward, I knew what I needed to do, what I wanted to do, to clear up all those lingering doubts, to show the love that never truly left and to chase away six years of memories of Tommaso’s lips on mine.
I wouldn’t be the damsel needing to be comforted by a man—I was the devil and I needed to start acting like it.
So I closed the distance between us, and before he could stroke my arm in that hesitant way he had before, I fisted my hands in his black T-shirt, and yanked him toward me. His hands gripped my biceps to keep himself steady, lips parting with a question on his tongue, but I smothered them with my own. My mouth captured his in a searing kiss, conveying all the emotions swirling around inside me like a tornado.
It was hard and unyielding, and he paused for a moment, his lips still beneath mine. Uncertainty coiled around my chest, and my hands loosened a fraction, about to back away when a ragged sob racked his chest, the sound vibrating through me as he kissed me back with just as much fervor. The kiss was rough and wild, filled with passion, pain, and relief. My friendship had always been soft and gentle with Kellan, but this was as though we were both releasing the hurt and the trauma of the past six years. Our tongues wound together in a dance that tied our souls back together after they’d been ripped apart so long before.
His hands slid from my arms, one reaching up to cup the back of my head, fingers winding through my messy hair, while the other slid to my back, pressing my body into his. The thick material of the hoodie grated on my nerves, and I needed it gone, needed to have my bare skin pressed up against him. Warm waves of ecstasy flowed through me, straight to my core, and I gripped him tighter, wanting to feel the hard press of more than his chest against me.
But before I could beg him to throw me down on the desk and strip the sweatpants off me, he pulled away, drawing in a ragged gasp of air, his chest rising and falling rapidly as he fought to compose himself. A chill swept over me in his absence, leaving me feeling bereft without the warm press of his muscled chest against me. Heat still lingered in his eyes, but there was a hint of hesitance that cut through the lust. Seeing that lifted some of the fog from me and brought me crashing back to reality. Still, I shoved aside all the whispering doubts that clawed their way back to the surface, reminding myself that I’d felt his need for me, just as hard, hot, and desperate as my own.
“Giana, are you—”
“Stop,” I cut him off, not wanting him to ruin what just happened between us. That same frustration I’d felt up in the room set in, and I just wanted to flip over the desk beside us, to kick and scream, and to crawl into a ball and let all the rage and hurt flow freely from me in a stream of tears.
He rushed forward, arms grasping me just as my knees gave out, and I fought against all the emotions raging inside of me, cursing myself for being this weak. I thought I’d blown through this, had weathered this storm the last two days, but I hadn’t seen the part that still lingered beneath all the bluster. But Kellan had, he’d seen right through the façade. I wanted none of this to affect me but it did, and it would for a long time. This was a wake-up call that I just had to take everything day by day.
-- Here the entry breaks off for crystal structures --
(1)
This record from Alexandria via LeMat-Bulk describes an optimized crystal structure of Zr2GeHF. The functional is GGA-PBEsol.

Values from the calculation:
energy = -5.564 eV per atom

Unit cell a=5.203 b=5.203 c=3.222 alpha=90.00 beta=90.00 gamma=90.00
Space group P4/mmm (No. 123)
Unique sites:
1 Zr 0.000 0.500 0.000 [2 per cell]
2 Ge 0.000 0.000 0.000 [1 per cell]
3 H 0.000 0.000 0.500 [1 per cell]
4 F 0.500 0.500 0.500 [1 per cell]

=====

(2)
This record from Alexandria via LeMat-Bulk describes an optimized crystal structure of Hf3GeF. The functional is GGA-PBEsol.

Values from the calculation:
energy = -8.166 eV per atom

Unit cell a=4.386 b=4.386 c=4.386 alpha=90.00 beta=90.00 gamma=90.00
Space group Pm-3m (No. 221)
Unique sites:
1 Hf 0.000 0.000 0.500 [3 per cell]
2 Ge 0.500 0.500 0.500 [1 per cell]
3 F 0.000 0.000 0.000 [1 per cell]

=====

no.,total moment (μB per cell),calculated volume (Å³ per atom),calculated density (g/cm³)
1,0.00,17.45,5.2
2,0.00,16.88,12.3


A | Compound: YSiN2F
Source: Alexandria via LeMat-Bulk
Functional: PBE
Structure: relaxed

DOS(E_F): 0.26 states/eV per atom
total magnetic moment: 2.01 μB per cell

Geometry as POSCAR:
```
YSiN2F
1.0
4.5114 0.0000 0.0000
0.0000 4.5114 0.0000
0.0000 0.0000 4.2271
Y Si N F
1 1 2 1
direct
0.0000 0.0000 0.0000
0.5000 0.5000 0.5000
0.0000 0.5000 0.0000
0.5000 0.0000 0.0000
0.0000 0.0000 0.5000
```

---

B | Compound: YSiN2F
Source: Alexandria via LeMat-Bulk
Functional: PBE
Structure: relaxed

DOS(E_F): 0.03 states/eV per atom
total magnetic moment: 0.00 μB per cell

Geometry as POSCAR:
```
YSiN2F
1.0
3.7332 0.0000 0.0000
0.0000 3.7332 0.0000
0.0000 0.0000 3.6669
Y Si N F
1 1 2 1
direct
0.0000 0.0000 0.0000
0.5000 0.5000 0.5000
0.0000 0.5000 0.5000
0.5000 0.0000 0.5000
0.5000 0.5000 0.0000
```

---

B wins, 1.493 eV/atom ahead of the next structure.


(1)
Material: Mn2AlTe
Method: DFT, PBE
State: optimized geometry

Summary:
Its uncorrected formation energy is 43 kJ/mol of formula units. The size of the total moment is 5.33 μB/cell.

abc: 3.4772 3.4772 5.3738
angles: 90.00 90.00 90.00
Space group P4mm (No. 99)
Unique sites:
Mn1 0.0000 0.0000 0.0000 [1 per cell]
Mn2 0.5000 0.5000 0.2734 [1 per cell]
Al1 0.5000 0.5000 0.8134 [1 per cell]
Te1 0.0000 0.0000 0.4891 [1 per cell]

---

(2)
Material: AlCu4W
Method: DFT, PBE
State: optimized geometry

Summary:
As for the formation energy: 0.250 eV per atom. The size of the total moment is 4.40 μB/cell.

abc: 6.8053 6.8053 6.8053
So as I let all that frustration, pain, and anger flow freely—sobs racking my chest so hard I thought my ribs might splinter from the force—I let Kellan soothe me, and nuzzled into his chest as his fingers stroked down my hair.
“There’s no rush, Giana,” Kellan murmured. “You’re safe. You’ll always be safe with us.”
My chest warmed as I looked up at him, blinking away the tears still blurring my vision. I hadn’t realized how much I needed to hear that, that I was safe, that I could take my time healing. Because as much as I didn’t want what had happened with Tommaso to take up anymore of my life—to cloud the now bright and sunny future I could finally picture, so close I could almost taste it—I couldn’t just expect myself to completely recover in a couple of days.
I reached up, my fingers teasing along his smooth jaw, and traced the hard line, pulling strength from the muscles beneath it. He shuddered at the light touch, his face pressing into it like he needed more. My brows creased as I studied every line, every curve of the face I used to know so well, cataloging all the differences the years had made. But he still looked the same really, more defined almost, but despite all the emotional turmoil of the last six years, he was still my Kellan. I raised on my toes, and his hands tightened on me, as though he feared I might lose my strength again, but that was impossible with him by my side. My lips lightly brushed his in a tender caress and he groaned at the contact, his own capturing mine immediately this time.
I melted into him, our mouths coming together as one like a breath of fresh air filling up my starving lungs. My body hummed with pleasure at the sensuous kiss, and I moaned into his mouth as his tongue delved in to meet mine. My hand wrapped around the back of his head, smoothing over his black curls—needing this pressure, his touch like I needed air to breathe. How had I survived this long without him? How could I have ever thought I could live any semblance of a normal life without him?